In Automation Assembler, capability tags enable you to define deployment capabilities for infrastructure components. Along with constraints, they function as the basis of placement logic in VMware Aria Automation.

You can create capability tags on compute resources, cloud zones, images and image maps, and networks and network profiles. The pages for creating these resources contain options for creating capability tags. Alternatively, you can use the Tag Management page in Automation Assembler to create capability tags. Capability tags on cloud zones and network profiles affect all resources within those zones or profiles. Capability tags on storage or network components affect only the components on which they are applied.

Typically, capability tags might define characteristics such as location for a compute resource, adapter type for a network, or tier level for a storage resource. They can also define environment location or type and any other business considerations. As with your overall tagging strategy, you should organize your capability tags in a logical manner for your business needs.

These molecular data were left in the article by mistake:
~~~
ORCA calculation (ωB97M-V/def2-TZVPD) on a 9-piece molecular cluster, C25H70F2N6O12S2 overall.

Results
**Gap between HOMO and LUMO (alpha / beta)**: 8.46 / 6.58 eV

```
! RIJCOSX wB97M-V def2-TZVPD def2/J DEFGRID3
* xyz -1 2
N 3.278 -3.238 -1.160
S 4.734 -3.773 -1.373
O 5.464 -4.211 -0.208
O 5.513 -3.276 -2.477
F 4.203 -5.170 -1.959
S 3.857 -1.604 -1.047
O 3.514 -0.766 -2.224
O 5.098 -1.218 -0.298
F 2.770 -1.106 0.030
C -0.004 -0.141 -1.576
O -0.365 -1.145 -0.615
H 0.702 -0.616 -2.256
H -0.913 0.000 -2.161
H 0.245 0.862 -1.229
C -3.293 -2.780 -4.430
C -2.032 -3.567 -3.931
C -0.688 -3.132 -4.599
O 0.445 -3.661 -3.899
C 1.710 -3.531 -4.512
N -1.945 -3.249 -2.539
H -4.234 -2.796 -3.880
H -3.477 -3.215 -5.412
H -3.034 -1.750 -4.676
H -2.117 -4.649 -4.032
H -0.671 -2.049 -4.723
H -0.695 -3.530 -5.614
H 2.370 -4.168 -3.923
H 1.767 -2.455 -4.345
H 1.800 -3.770 -5.572
H -2.876 -3.447 -2.201
H -1.928 -2.241 -2.480
C -0.647 5.837 4.375
C -0.018 5.038 3.160
C -0.976 4.851 1.988
O -0.470 4.023 0.992
C -1.052 4.090 -0.352
N 1.204 5.785 2.759
H 0.169 6.098 5.049
H -1.345 5.176 4.889
H -1.168 6.711 3.984
H 0.363 4.088 3.537
H -1.166 5.886 1.706
H -1.929 4.468 2.354
H -1.092 5.084 -0.797
H -2.093 3.816 -0.181
H -0.388 3.587 -1.055
H 1.638 5.158 2.097
H 1.800 5.657 3.565
C 0.992 -0.676 4.267
C 0.102 -0.461 3.007
C 0.219 0.938 2.528
O -0.254 1.795 3.563
C -1.680 1.955 3.621
N 0.669 -1.345 1.964
H 1.994 -0.284 4.089
H 1.091 -1.747 4.443
H 0.475 -0.065 5.006
H -0.905 -0.852 3.157
H -0.321 1.001 1.583
H 1.196 1.232 2.144
H -1.928 2.772 4.298
H -2.165 1.065 4.022
H -2.031 2.164 2.610
H 0.072 -1.276 1.152
H 1.558 -0.997 1.634
C -3.376 -3.284 2.514
C -2.137 -3.872 1.854
C -1.941 -5.398 1.938
O -0.791 -5.879 1.250
C -0.559 -7.318 1.462
N -2.279 -3.601 0.402
H -3.352 -2.196 2.570
H -3.557 -3.787 3.464
H -4.317 -3.441 1.987
H -1.211 -3.562 2.338
H -2.847 -5.908 1.613
H -1.758 -5.655 2.982
H -0.003 -7.667 0.593
H -1.432 -7.957 1.598
H 0.183 -7.283 2.260
H -2.529 -2.630 0.278
H -3.155 -3.990 0.084
C 2.946 3.073 -1.517
C 2.795 2.506 -0.105
C 4.124 2.057 0.544
O 3.899 1.474 1.804
C 5.062 0.940 2.499
N 2.296 3.579 0.761
H 3.622 3.914 -1.363
H 2.096 3.508 -2.043
H 3.477 2.487 -2.267
H 2.040 1.722 -0.154
H 4.835 2.857 0.748
H 4.635 1.375 -0.137
H 5.743 0.279 1.962
H 4.686 0.435 3.389
H 5.540 1.901 2.688
H 1.298 3.692 0.652
H 2.411 3.334 1.734
C -0.027 4.538 -5.108
C -0.367 3.016 -5.228
O -0.989 2.679 -3.992
H 0.435 4.896 -4.188
H -0.889 5.195 -5.216
H 0.695 4.902 -5.840
H 0.616 2.564 -5.357
H -1.055 2.874 -6.062
H -0.750 1.836 -3.599
C -4.817 0.283 0.895
C -3.355 0.176 0.473
O -3.375 -0.767 -0.683
H -5.424 0.817 0.165
H -4.883 0.789 1.859
H -5.284 -0.632 1.258
H -2.753 -0.194 1.302
H -2.882 1.044 0.015
H -2.452 -0.902 -0.911
*
```

Atomic partial charges in e from the Löwdin method, atoms 1 to 8:
1 N -0.2231
2 S 0.3974
3 O -0.2991
4 O -0.3038
5 F -0.2257
6 S 0.6200
7 O -0.3360
8 O -0.3245

----------
~~~

Automation Assembler matches capability tags from cloud zones with constraints on cloud templates at deployment time. So, when creating and using capability tags, you must understand and plan to create appropriate cloud template constraints so that matching will occur as expected.

For example, the cloud zone section in the WordPress infrastructure example included with the documentation describes how to create dev and test tags for the OurCo-AWS-US-East and OurCo AWS-US-West cloud zones. In this tutorial, these tags indicate that the OurCo-AWS-US-East zone is a development environment, and the OurCo-AWS-US_West zone is a test environment. If you create analogous constraint tags in cloud templates, these capability tags enable you to direct deployments to the desired environments.

Tag inheritance

Automation Assembler uses tag inheritance to selectively propagate tags on cloud accounts and compute resources that correspond to that cloud account.

Note: Tag propagation behavior does not apply to storage profiles. This means that VMware Aria Automation will not automatically select the constraint for storage profiles, so users must manually add the required constraint tag for it to be selected and applied to storage profiles.

The following example illustrates how tag inheritance works.

Compute resources

........
Entry 1:
Molecular formula: C2H4I2NOP
Method: DFT, the ωB97M-V functional and the def2-TZVPD basis

Properties
* HOMO-LUMO gap: 7.99 eV
* molar mass: 342.84 g mol⁻¹
* energy above the lowest of the compared OMol25 structures with the same formula, charge and spin: 0.325 eV
* E: -31165.178 eV

XYZ file:
```
11
C2H4I2NOP | the Open Molecules 2025 dataset | the ωB97M-V functional and the def2-TZVPD basis
I -3.34050 -1.30851 0.04232
I -1.90972 2.05090 0.07580
P -0.18255 -0.34955 1.25552
O 0.56396 0.31775 -1.05613
N -0.92107 -0.33079 -2.65075
C -0.55110 -0.12037 -1.36707
C -1.53498 -0.12061 -0.13449
H -0.18224 -0.13177 -3.31048
H 0.30426 -1.78810 1.36767
H -1.06933 -0.50675 2.31657
H -1.57476 -1.03857 -2.90776
```

---

Entry 2:
Molecular formula: C27H79N5O10
Method: DFT, the ωB97M-V functional and the def2-TZVPD basis

Properties
* HOMO-LUMO gap: 9.59 eV
* molar mass: 633.95 g mol⁻¹
* energy above the lowest of the compared OMol25 structures with the same formula, charge and spin: 0.000 eV
* SMILES: COC[C@H](C)N.COC[C@H](C)N.COC[C@H](C)N.COC[C@H](C)N.COC[C@H](C)N.CC(C)O.CO.CO.CO.CO
* E: -57201.562 eV

XYZ file:
```
121
C27H79N5O10 | the Open Molecules 2025 dataset | the ωB97M-V functional and the def2-TZVPD basis
O -0.41796 6.59496 -2.87851
O -2.99830 3.15819 0.96389
O 0.87601 2.48110 -4.37370
O 2.50426 4.24500 1.11239
O -3.40796 0.46089 -0.58148
O 1.72649 -4.29842 0.51086
O 2.68310 -0.89984 4.21887
O -2.16803 -3.59838 2.45679
O 0.09807 0.92209 0.10873
O -2.83937 -4.75953 -3.43964
N -1.19508 -3.37271 -0.46281
N -0.61062 3.77337 -0.47092
N 4.23173 2.25406 -1.52517
N 1.11961 2.05118 2.69602
N 1.16301 -7.07103 2.83213
C -5.41062 -0.13398 -1.72012
C -3.62757 1.25405 -2.89882
C -1.20187 -5.71558 -1.22139
C -0.74879 4.44329 -1.79366
C 1.50355 1.11891 3.78444
C 1.97504 -5.51532 1.20344
C 4.53167 2.11500 0.89999
C -0.18288 5.81195 -1.72583
C 3.60501 2.56643 -0.20835
C 0.87163 -5.78288 2.22233
C -2.38719 2.34535 1.94183
C -1.41097 -4.27062 -1.59539
C 2.31428 -0.00852 3.18324
C 0.74526 -4.68342 3.23943
C 3.22435 4.03179 -0.07532
C -4.15528 -4.97294 -3.85413
C 2.22288 5.61085 1.31200
C -1.76324 -2.27791 2.80183
C 0.17623 6.06945 -4.04617
C -2.76888 -4.04453 -2.23595
C 0.75435 1.05478 -4.28166
C 2.87883 -3.53899 0.21847
C 0.37494 -0.44562 -0.17227
C -4.33966 0.93846 -1.57256
C -2.21380 4.40307 -2.22437
C 0.24297 0.59319 4.44301
C 3.47921 -1.97744 3.78038
H 2.15436 1.63436 4.50182
H -4.80714 -5.36121 -3.06433
H 1.79085 2.75762 -4.28485
H -0.65778 -4.08115 -2.38510
H 5.45775 2.70551 0.84762
H -1.94082 -2.18184 3.87528
H 1.58466 -4.62677 3.94134
H 2.92874 -2.91749 3.89085
H -0.20553 3.84305 -2.53796
H -1.50359 -6.31667 -2.08521
H 5.10060 2.78933 -1.62739
H 2.67343 1.98328 -0.20421
H 1.22447 5.80368 -3.86424
H 1.69896 -0.55466 2.44307
H -1.00271 -2.40361 -0.70393
H 0.67901 -3.67799 2.81179
H 0.20348 6.89047 -4.76838
H 3.67094 -3.70474 0.94737
H 0.94909 2.92800 3.19808
H -1.36213 2.65657 2.18612
H -0.06466 -1.11197 0.57944
H -0.28275 -3.67699 -0.09804
........
**So much for the data records**

  • Cluster1 with tag cluster-1
  • Cluster2 with tag cluster-2
  • Cluster3 with tag cluster-3
Vm resource:
      - tag: 'cluster-01'

Cloud Account

vSphere cloud account with all three of the tags: cluster-1, cluster-2, and cluster-3

While consolidating tags on compute resources, Automation Assembler also considers the cloud account level tags. Hence, the effective tags on the computes are cluster-1, cluster-2 and cluster-3 and this is why when we provide any of these tags as shown in the preceding example, all the compute resources become eligible for placement and the machine can land on any of the compute hosts.

As a best practice, to minimize unexpected results and tag clutter, any given tag should be applied only at the cloud account level if that tag is an appropriate capability for all subordinate compute resources.